Write out the entries further down from the line with "0.5972 9.1129" to the end word for word.
........
1.
Y14In3Rh3 | PBE | optimized geometry

Cell and atoms, written as extended XYZ:
```
80
Lattice="9.7101 0.0000 0.0000 0.0000 9.7101 0.0000 0.0000 0.0000 23.6235" Properties=species:S:1:pos:R:3 pbc="T T T"
Y 0.4713 7.2826 4.5718
Y 0.5668 2.4275 22.8271
Y 0.5885 7.2826 12.2007
Y 0.6025 0.6322 2.4702
Y 0.6025 4.2228 2.4702
Y 0.5972 5.4523 17.7176
Y 0.5972 9.1129 17.7176
Y 0.6322 0.6025 14.2819
Y 0.6322 4.2526 14.2819
Y 2.4275 0.5668 11.0153
Y 2.4275 2.4275 5.0906
Y 2.4275 2.4275 16.9023
Y 2.4275 4.2883 11.0153
Y 2.4275 5.3263 7.2400
Y 2.4275 5.4435 23.2345
Y 2.4275 7.2826 15.2623
Y 2.4275 7.2826 20.1729
Y 2.4275 9.1217 23.2345
Y 2.4275 9.2389 7.2400
Y 4.2228 0.6025 14.2819
Y 4.2228 4.2526 14.2819
Y 4.2526 0.6322 2.4702
Y 4.2526 4.2228 2.4702
Y 4.2579 5.4523 17.7176
Y 4.2579 9.1129 17.7176
Y 4.2666 7.2826 12.2007
Y 4.2883 2.4275 22.8271
Y 4.3838 7.2826 4.5718
Y 5.3263 2.4275 19.0517
Y 5.4219 7.2826 0.7964
Y 5.4435 2.4275 11.4227
Y 5.4523 0.5972 5.9059
Y 5.4523 4.2579 5.9059
Y 5.4575 5.4873 21.1533
Y 5.4575 9.0779 21.1533
Y 5.4873 5.4575 9.3416
Y 5.4873 9.1076 9.3416
Y 7.2826 0.4713 16.3835
Y 7.2826 0.5885 0.3890
Y 7.2826 2.4275 3.4506
Y 7.2826 2.4275 8.3611
Y 7.2826 4.2666 0.3890
Y 7.2826 4.3838 16.3835
Y 7.2826 5.4219 12.6081
Y 7.2826 7.2826 6.7212
Y 7.2826 7.2826 18.5329
Y 7.2826 9.1433 12.6081
Y 9.0779 5.4575 9.3416
Y 9.0779 9.1076 9.3416
Y 9.1129 0.5972 5.9059
Y 9.1129 4.2579 5.9059
Y 9.1076 5.4873 21.1533
Y 9.1076 9.0779 21.1533
Y 9.1217 2.4275 11.4227
Y 9.1433 7.2826 0.7964
Y 9.2389 2.4275 19.0517
In 0.8674 2.4275 8.3812
In 2.4275 0.8674 20.1929
In 2.4275 3.9876 20.1929
In 2.4275 7.2826 2.1481
In 2.4275 7.2826 9.6637
In 3.9876 2.4275 8.3812
In 5.7225 7.2826 15.2423
In 7.2826 2.4275 13.9598
In 7.2826 2.4275 21.4754
In 7.2826 5.7225 3.4306
In 7.2826 8.8427 3.4306
In 8.8427 7.2826 15.2423
Rh 0.3034 7.2826 7.3455
Rh 2.4275 2.4275 1.2058
Rh 2.4275 2.4275 13.0175
Rh 2.4275 5.1585 4.4663
Rh 2.4275 9.4067 4.4663
Rh 4.5517 7.2826 7.3455
Rh 5.1585 2.4275 16.2780
Rh 7.2826 0.3034 19.1572
Rh 7.2826 4.5517 19.1572
Rh 7.2826 7.2826 10.6059
Rh 7.2826 7.2826 22.4177
Rh 9.4067 2.4275 16.2780
```

Properties
- Total moment: 0.08 μB per formula unit

2.
BaSeO4 | PBE | optimized geometry

Cell and atoms, written as extended XYZ:
```
24
Lattice="9.1841 0.0000 0.0000 0.0000 5.8259 0.0000 0.0000 0.0000 7.5106" Properties=species:S:1:pos:R:3 pbc="T T T"
Ba 1.6800 1.4565 1.1838
Ba 2.9120 4.3695 4.9390
Ba 6.2720 1.4565 2.5715
Ba 7.5041 4.3695 6.3268
Se 0.5751 1.4565 5.1368
Se 4.0169 4.3695 1.3815
Se 5.1671 1.4565 6.1291
Se 8.6090 4.3695 2.3738
O 0.7345 0.0975 6.1196
O 0.7345 2.8154 6.1196
O 0.9387 4.3695 3.0600
O 1.8209 1.4565 4.0221
O 2.7711 4.3695 0.2669
O 3.6534 1.4565 6.8153
O 3.8576 3.0105 2.3643
O 3.8576 5.7284 2.3643
O 5.3265 0.0975 5.1463
O 5.3265 2.8154 5.1463
O 5.5307 4.3695 0.6953
O 6.4129 1.4565 7.2437
O 7.3632 4.3695 3.4884
O 8.2454 1.4565 4.4506
O 8.4496 3.0105 1.3910
O 8.4496 5.7284 1.3910
```

3.
Er3Pb | PBE | optimized geometry

Cell and atoms, written as extended XYZ:
```
8
Lattice="6.8352 0.0000 0.0000 -3.4176 5.9195 0.0000 0.0000 0.0000 5.6177" Properties=species:S:1:pos:R:3 pbc="T T T"
Er 0.0000 1.9908 1.4044
Er -1.6935 4.9241 1.4044
Er 1.7241 0.9954 4.2133
Er 1.6935 4.9241 1.4044
Er 5.1111 0.9954 4.2133
Er 3.4176 3.9286 4.2133
Pb 0.0000 3.9463 4.2133
Pb 3.4176 1.9732 1.4044
```

no.,energy (eV per atom),E_form (eV per formula unit)
1,-6.55,-10.1
2,-5.90,-12.9
3,-4.59,-0.9
........
Y 0.5972 9.1129 17.7176
Y 0.6322 0.6025 14.2819
Y 0.6322 4.2526 14.2819
Y 2.4275 0.5668 11.0153
Y 2.4275 2.4275 5.0906
Y 2.4275 2.4275 16.9023
Y 2.4275 4.2883 11.0153
Y 2.4275 5.3263 7.2400
Y 2.4275 5.4435 23.2345
Y 2.4275 7.2826 15.2623
Y 2.4275 7.2826 20.1729
Y 2.4275 9.1217 23.2345
Y 2.4275 9.2389 7.2400
Y 4.2228 0.6025 14.2819
Y 4.2228 4.2526 14.2819
Y 4.2526 0.6322 2.4702
Y 4.2526 4.2228 2.4702
Y 4.2579 5.4523 17.7176
Y 4.2579 9.1129 17.7176
Y 4.2666 7.2826 12.2007
Y 4.2883 2.4275 22.8271
Y 4.3838 7.2826 4.5718
Y 5.3263 2.4275 19.0517
Y 5.4219 7.2826 0.7964
Y 5.4435 2.4275 11.4227
Y 5.4523 0.5972 5.9059
Y 5.4523 4.2579 5.9059
Y 5.4575 5.4873 21.1533
Y 5.4575 9.0779 21.1533
Y 5.4873 5.4575 9.3416
Y 5.4873 9.1076 9.3416
Y 7.2826 0.4713 16.3835
Y 7.2826 0.5885 0.3890
Y 7.2826 2.4275 3.4506
Y 7.2826 2.4275 8.3611
Y 7.2826 4.2666 0.3890
Y 7.2826 4.3838 16.3835
Y 7.2826 5.4219 12.6081
Y 7.2826 7.2826 6.7212
Y 7.2826 7.2826 18.5329
Y 7.2826 9.1433 12.6081
Y 9.0779 5.4575 9.3416
Y 9.0779 9.1076 9.3416
Y 9.1129 0.5972 5.9059
Y 9.1129 4.2579 5.9059
Y 9.1076 5.4873 21.1533
Y 9.1076 9.0779 21.1533
Y 9.1217 2.4275 11.4227
Y 9.1433 7.2826 0.7964
Y 9.2389 2.4275 19.0517
In 0.8674 2.4275 8.3812
In 2.4275 0.8674 20.1929
In 2.4275 3.9876 20.1929
In 2.4275 7.2826 2.1481
In 2.4275 7.2826 9.6637
In 3.9876 2.4275 8.3812
In 5.7225 7.2826 15.2423
In 7.2826 2.4275 13.9598
In 7.2826 2.4275 21.4754
In 7.2826 5.7225 3.4306
In 7.2826 8.8427 3.4306
In 8.8427 7.2826 15.2423
Rh 0.3034 7.2826 7.3455
Rh 2.4275 2.4275 1.2058
Rh 2.4275 2.4275 13.0175
Rh 2.4275 5.1585 4.4663
Rh 2.4275 9.4067 4.4663
Rh 4.5517 7.2826 7.3455
Rh 5.1585 2.4275 16.2780
Rh 7.2826 0.3034 19.1572
Rh 7.2826 4.5517 19.1572
Rh 7.2826 7.2826 10.6059
Rh 7.2826 7.2826 22.4177
Rh 9.4067 2.4275 16.2780
```

Properties
- Total moment: 0.08 μB per formula unit

2.
BaSeO4 | PBE | optimized geometry

Cell and atoms, written as extended XYZ:
```
24
Lattice="9.1841 0.0000 0.0000 0.0000 5.8259 0.0000 0.0000 0.0000 7.5106" Properties=species:S:1:pos:R:3 pbc="T T T"
Ba 1.6800 1.4565 1.1838
Ba 2.9120 4.3695 4.9390
Ba 6.2720 1.4565 2.5715
Ba 7.5041 4.3695 6.3268
Se 0.5751 1.4565 5.1368
Se 4.0169 4.3695 1.3815
Se 5.1671 1.4565 6.1291
Se 8.6090 4.3695 2.3738
O 0.7345 0.0975 6.1196
O 0.7345 2.8154 6.1196
O 0.9387 4.3695 3.0600
O 1.8209 1.4565 4.0221
O 2.7711 4.3695 0.2669
O 3.6534 1.4565 6.8153
O 3.8576 3.0105 2.3643
O 3.8576 5.7284 2.3643
O 5.3265 0.0975 5.1463
O 5.3265 2.8154 5.1463
O 5.5307 4.3695 0.6953
O 6.4129 1.4565 7.2437
O 7.3632 4.3695 3.4884
O 8.2454 1.4565 4.4506
O 8.4496 3.0105 1.3910
O 8.4496 5.7284 1.3910
```

3.
Er3Pb | PBE | optimized geometry

Cell and atoms, written as extended XYZ:
```
8
Lattice="6.8352 0.0000 0.0000 -3.4176 5.9195 0.0000 0.0000 0.0000 5.6177" Properties=species:S:1:pos:R:3 pbc="T T T"
Er 0.0000 1.9908 1.4044
Er -1.6935 4.9241 1.4044
Er 1.7241 0.9954 4.2133
Er 1.6935 4.9241 1.4044
Er 5.1111 0.9954 4.2133
Er 3.4176 3.9286 4.2133
Pb 0.0000 3.9463 4.2133
Pb 3.4176 1.9732 1.4044
```

no.,energy (eV per atom),E_form (eV per formula unit)
1,-6.55,-10.1
2,-5.90,-12.9
3,-4.59,-0.9